就读emlyon给我带来什么?ChangeNOW创始人Santiago的创业与人生故事 | Alumni Story

Santiago Lefebvre
校友故事第三季-CSR第一期,我们有幸邀请到了ChangeNOW的创始人、法国里昂商学院2007届PGE项目校友Santiago Lefebvre,听他说说他如何将自己的信念和奉献置于其职业生涯的核心。
We are pleased to present the first 3 videos in our new series on the committed careers of our graduates. Find out what they have to say about change and how their commitment is reflected in their career paths.
Someone pasted molecular data at this point:
********
[1]
The following is a DFT calculation (ωB97M-V with the def2-TZVPD basis set) of a structure of composition C40H42F3FeGe2N5S.

```
94
Properties=species:S:1:pos:R:3:lowdin_charge:R:1
Ge 1.72387 -1.78569 -3.78961 0.708
Ge 2.63945 -0.09107 -2.21667 1.187
Fe -1.52421 0.12506 1.33305 0.632
S -2.64505 2.37285 1.46395 0.737
F -2.95253 5.17149 0.06376 0.140
F -3.86645 5.11779 -1.89060 0.140
F -4.73569 3.98660 -0.26966 0.142
N -2.47525 -0.74361 3.17562 -0.222
N 0.16035 0.99581 2.43197 0.035
N -3.48856 -0.75773 0.68764 0.046
N -1.50949 1.21159 -0.57487 -0.055
N -0.49279 -1.82102 1.57841 0.055
C 4.93954 -2.50121 0.23247 -0.060
C -3.89501 -0.97852 -0.56701 -0.105
C 3.07760 4.07416 -2.01277 -0.049
C 3.59843 -0.70807 -0.68762 -0.365
C 4.18111 -1.97822 -0.80346 -0.129
C -1.90284 -0.09755 4.37105 -0.150
C -2.36439 2.99855 -2.50572 0.025
C 1.37384 1.56684 4.39274 0.005
C 0.41477 0.80445 3.73335 -0.244
C 0.90667 -3.14621 -2.65813 -0.235
C 2.54732 1.77520 -2.52215 -0.360
C -1.04172 -2.65827 2.46040 -0.251
C -2.27410 2.27383 -0.20513 -0.675
C 0.62667 -2.19534 0.95010 -0.116
C -2.28672 -2.20141 3.18224 -0.103
C -5.75435 -0.90427 1.40892 0.011
C -3.57448 4.37231 -0.81140 -0.617
C 1.87660 2.19948 -3.67916 -0.125
C 1.23133 -3.41788 1.15031 -0.038
C 3.75471 0.00841 0.50539 -0.108
C 0.64446 -4.30139 2.04804 -0.019
C 2.06777 2.54600 3.70593 -0.026
C 3.29225 -2.42315 -4.75582 -0.233
C -2.71569 3.18922 -1.19389 -0.106
C 5.08546 -1.77835 1.40862 -0.038
C -1.56495 1.90775 -2.85950 -0.059
C -6.16941 -1.12212 0.10769 -0.020
C -1.16711 1.05550 -1.86267 -0.162
C -4.40366 -0.72063 1.66080 -0.266
C 0.42696 -0.97112 -4.99281 -0.234
C 1.80540 3.54396 -3.99705 -0.049
C 2.39827 4.47872 -3.15856 -0.028
C -0.38105 -0.22374 4.49816 -0.089
C 0.81856 1.95996 1.77563 -0.143
C -5.21941 -1.16680 -0.90369 -0.030
C -0.50209 -3.91349 2.71431 0.006
C 4.48279 -0.53220 1.54984 -0.048
C 3.16092 2.73145 -1.69726 -0.097
C 1.78052 2.75325 2.36466 -0.046
C -3.90345 -0.42389 3.05311 -0.142
H 1.05758 -1.46900 0.27213 0.086
H 1.55272 1.40205 5.44643 0.124
H 2.80270 3.15509 4.21562 0.123
H -3.14223 -2.66679 2.68807 0.141
H -3.12079 -0.99355 -1.32401 0.105
H -2.70769 3.69400 -3.25913 0.132
H 3.72946 2.42751 -0.82786 0.090
H 0.17338 -2.72121 -1.97263 0.007
H 3.55372 4.81061 -1.37961 0.118
H 2.14254 -3.66559 0.62471 0.099
H -2.27399 -2.58828 4.20770 0.144
H 3.82909 -1.60278 -5.22978 0.031
H 5.41215 -3.46850 0.12523 0.120
H 3.28953 0.97613 0.63523 0.071
H 3.97746 -2.97089 -4.11088 0.019
H 0.92346 -0.38664 -5.76647 0.033
H 4.59266 0.02116 2.47334 0.115
H 0.39472 -3.86110 -3.30356 0.037
H -7.21874 -1.25871 -0.11647 0.123
H 1.29492 3.86556 -4.89480 0.120
H 1.65750 -3.68281 -2.07914 0.017
H -2.17395 0.95878 4.32719 0.126
H -6.46517 -0.86736 2.22372 0.129
H 1.08314 -5.27259 2.23455 0.124
H -1.27132 1.74317 -3.88572 0.097
H -0.97456 -4.56633 3.43654 0.130
H -5.50022 -1.34165 -1.93215 0.116
H -2.36715 -0.52024 5.27052 0.136
H -4.49970 -0.97225 3.79207 0.144
H -0.04626 -1.22741 4.22553 0.116
********
The molecular data stop here:
ChangeNOW is the world's largest event for the planet. Its mission is to develop solutions and new models to respond to major environmental and social emergencies. Every year ChangeNOW find around 1000 solutions that are attacking the SDGs and bring together the investors, the mayors, city representatives, policymakers and general media, along with the corporate world because often there are great collaborations happening between big companies and start-ups, talent and citizens.
For example, there is a company in France called Jean Bouteille that sells refillable bottles and they managed to strike a deal with L'Occitane at ChangeNOW and now they are deploying in 25 countries.
In this first episode of Alumni Stories-CSR, Santiago Lefebvre (PGE 2007), founder of ChangeNOW, will tell us how he places his convictions and his commitment at the heart of his professional career.
例如,法国有一家制作可回收利用瓶的公司叫作Jean Bouteille,他们在ChangeNOW的帮助下成功地与欧舒丹达成了协议,如今他们已在25个国家发展业务。
校友故事第三季-CSR第一期,我们有幸邀请到了ChangeNOW的创始人、法国里昂商学院2007届PGE项目校友Santiago Lefebvre,听他说说他如何将自己的信念和奉献置于其职业生涯的核心。
## These molecular data were left in the text by mistake
[1]
Density functional theory data (ωB97M-V/def2-TZVPD) for a molecular structure, C14H17BrCoN7O2.

Summary:
HOMO-LUMO gap (spin up / spin down), eV: 8.291 / 8.182
M, g mol⁻¹: 454.17
E, eV: -136981.780
HOMO level (spin up / spin down), eV: -10.69 / -10.64
Relative energy (zero: lowest compared OMol25 entry of this formula, charge and spin), kcal per mole: 7.88
Expectation value of S²: 0.770
Max |F|, eV Å⁻¹: 0.642

Geometry as ORCA input:
```
! wB97M-V def2-TZVPD RIJCOSX def2/J DEFGRID3
* xyz 1 2
Co 0.0409 -0.1183 0.1912
N 5.1155 -0.7207 -0.8404
N 3.9945 -0.2955 -0.1603
N 4.0606 0.5698 0.8233
C 2.7766 0.7504 1.0941
N 1.9977 0.0121 0.2955
N 2.8087 -0.6565 -0.5123
H 5.8930 -0.6799 -0.1873
H 4.9410 -1.6711 -1.1555
H 2.4115 1.3933 1.8719
C -4.7199 0.1046 0.2755
C -4.1165 -1.0889 -0.0806
C -2.7370 -1.1840 -0.0670
N -1.9437 -0.1584 0.2703
C -2.5406 0.9887 0.6331
C -3.9090 1.1639 0.6515
H -5.7962 0.2051 0.2710
H -4.6981 -1.9521 -0.3689
H -2.2439 -2.1091 -0.3313
H -1.8822 1.7885 0.9461
H -4.3237 2.1128 0.9577
N 0.3153 5.3440 0.1959
C 0.2645 4.2996 -0.8171
C 0.1832 2.9497 -0.1312
O 0.0491 1.9047 -0.7370
O 0.2720 3.0025 1.1820
H 1.0673 6.0003 0.0416
H 0.3636 3.9744 1.3836
H -0.5483 5.8667 0.2529
H 1.1686 4.2836 -1.4279
H -0.5773 4.3778 -1.5071
Br 0.2312 -6.6303 -0.6293
C 0.2194 -4.7512 -0.4012
C 0.2489 -4.2135 0.8757
C 0.2300 -2.8331 1.0295
C 0.1785 -1.9769 -0.0716
C 0.1664 -2.5483 -1.3437
C 0.1850 -3.9256 -1.5144
H 0.2837 -4.8658 1.7371
H 0.2521 -2.4347 2.0394
H 0.1449 -1.9218 -2.2289
H 0.1726 -4.3569 -2.5057
*
```

Atom charges from the Mulliken analysis, given in e for atoms 1 to 2: Co -0.18; N -0.57

[2]
Density functional theory data (ωB97M-V/def2-TZVPD) for 2 unconnected molecules or ions with the total composition C14H17N5O4 at a distorted geometry.

Summary:
HOMO-LUMO gap, eV: 6.857
M, g mol⁻¹: 319.32
E, eV: -30425.534
Structure (SMILES): N#Cc1cc([N+](=O)[O-])cc2c1no[n+]2[O-].CC(C)[C@@H]1CCCN1
HOMO level, eV: -9.04
Relative energy (zero: lowest compared OMol25 entry of this formula, charge and spin), kcal per mole: 146.41
Max |F|, eV Å⁻¹: 3.650

Geometry as ORCA input:
```
! wB97M-V def2-TZVPD RIJCOSX def2/J DEFGRID3
* xyz 0 1
N -0.9166 -5.2794 2.5680
C -0.5563 -4.1746 2.4449
C -0.0790 -2.8225 2.2966
C 1.2130 -2.4223 1.9232
C 1.5559 -1.0299 1.8290
N 2.9309 -0.6436 1.7493
O 3.8218 -1.5022 1.9540
O 3.2116 0.5535 1.4983
C 0.5620 -0.0199 1.9231
C -0.6888 -0.4493 2.3230
C -1.0537 -1.7998 2.5087
N -2.3914 -2.0179 2.6309
O -2.9312 -0.7181 2.4290
N -1.9218 0.2345 2.2679
O -2.1858 1.3946 1.9629
H 1.9655 -3.1849 1.7468
H 0.8098 1.0295 2.0010
C -0.7115 -0.1637 -3.5123
C -0.5790 -0.2479 -1.9965
C -1.8422 -0.8581 -1.4028
C -0.2948 1.1561 -1.4613
C 0.8258 1.9453 -2.1600
C 1.3020 2.9641 -1.1235
C 0.9148 2.3732 0.2221
N 0.0839 1.1728 -0.0402
H -1.5336 0.5234 -3.7653
H 0.2077 0.2086 -3.9818
H -0.9468 -1.1474 -3.9326
H 0.2843 -0.8751 -1.7236
H -2.6917 -0.1673 -1.4899
H -2.1030 -1.7797 -1.9414
H -1.7125 -1.1300 -0.3482
H -1.2397 1.7276 -1.5735
H 1.6564 1.2657 -2.3903
I'm Santiago Lefebvre, I'm the founder of ChangeNOW, the world's largest gathering of solutions for the planet. And I'm from the PGE 2007 class.
我是Santiago Lefebvre,ChangeNOW的创始人,这是目前致力于解决地球问题的最大组织。我2007年毕业于PGE项目。
What does your professional commitment mean today?
My professional commitment today I would say is of the order of personal alignment, it's my several positions that I've managed to put together and finally that makes that what I do in life and what I do at work to have a positive impact is completely aligned. And very concretely, what I do is help entrepreneurs and solutions to scale up and to discover the flaws in the ecosystem that need to be fixed in order to have a faster transition.
Inserted here: quantum chemistry results >
#P
Below is C25H44O2P2Tb as an isolated structure, with properties calculated with wB97M-V/def2-TZVPD.

Values from the calculation:
**Spin multiplicity**: 7
**Frontier orbital gap (spin up / spin down)**: 6.81 / 7.87 eV
**Charge**: +1
**Highest occupied orbital energy (spin up / spin down)**: -10.628 / -10.736 eV
**LUMO (spin up / spin down)**: -3.81 / -2.87 eV

Positions of all 74 atoms, in Å:
Tb  0.08564  -0.07611  2.18678
C  -1.85001  -0.99011  3.60380
C  -1.46622  -2.07849  2.76242
C  0.37064  -1.50183  4.06132
C  -0.72002  -0.63577  4.41711
C  -0.08325  -2.37279  3.00796
C  -3.22824  -0.45954  3.78443
H  -3.80814  -0.53085  2.85192
H  -3.21378  0.59381  4.09279
H  -3.78666  -1.02053  4.55697
C  -0.66354  0.43449  5.44821
H  -1.61049  0.99126  5.48553
H  0.13651  1.16811  5.21253
H  -0.45313  0.01437  6.44439
C  1.73413  -1.46881  4.66141
H  1.70015  -1.85062  5.69362
H  2.14482  -0.43974  4.68324
H  2.43149  -2.08240  4.07371
C  0.71930  -3.46566  2.40035
H  0.65585  -4.38262  3.01236
H  1.77928  -3.18900  2.32186
H  0.35804  -3.71452  1.39055
C  -2.37287  -2.88251  1.90385
H  -2.67066  -3.81849  2.40358
H  -1.89140  -3.15899  0.95875
H  -3.28943  -2.33262  1.66643
C  -0.99247  2.04033  0.52923
C  -2.04345  1.18812  0.67201
C  -2.47175  0.13931  -0.30205
C  -1.36946  -0.57558  -1.14845
C  -0.12695  -1.06254  -0.47399
C  1.00855  -0.31849  -0.32018
C  1.16333  1.10951  -0.76550
C  -0.04971  2.10382  -0.63698
H  -3.17884  0.59118  -1.02845
H  -1.11483  0.07701  -2.00776
H  -3.06713  -0.62952  0.22992
H  -0.58775  2.10184  -1.59616
H  -0.82950  2.81376  1.30586
H  -2.69436  1.29387  1.55929
H  0.41858  3.10004  -0.55996
H  2.02411  1.55502  -0.22602
H  1.91093  -0.76283  0.14624
H  1.45421  1.12044  -1.83494
H  -1.85502  -1.46970  -1.58684
H  -0.13962  -2.11045  -0.13124
P  -0.48905  1.14670  -4.31799
C  -0.56850  2.98903  -4.43946
C  -1.80740  0.81086  -5.57234
P  1.78712  -0.63071  -5.10108
C  0.94559  0.97336  -5.50609
C  1.26814  -1.56645  -6.61509
C  3.44020  -0.17277  -5.79387
H  0.30065  3.42170  -3.92749
H  -1.48475  3.32845  -3.93994
H  -0.57545  3.32332  -5.48636
H  -1.70469  1.44858  -6.46580
H  -2.78139  1.02360  -5.10664
H  -1.79993  -0.24199  -5.88998
H  3.37806  0.18972  -6.83078
H  4.09348  -1.05565  -5.77140
H  3.89375  0.60851  -5.17043
H  1.66186  1.80265  -5.36468
H  0.61302  0.98716  -6.56140
H  1.84561  -2.50273  -6.66291
H  1.45733  -1.00621  -7.54527
H  0.20158  -1.82816  -6.57125
C  2.94116  2.15196  5.60227
O  2.58927  2.27157  4.19485
C  1.69780  1.46710  3.67320
O  1.51830  1.60783  2.40923
H  2.85983  3.15232  6.04008
H  3.97371  1.79655  5.66835
H  2.27778  1.44850  6.14234

---

#Q
Below is C25H44O2P2Tb as an isolated structure, with properties calculated with wB97M-V/def2-TZVPD.

Values from the calculation:
**Spin multiplicity**: 7
**Frontier orbital gap (spin up / spin down)**: 5.15 / 6.64 eV
**Charge**: +1
**Highest occupied orbital energy (spin up / spin down)**: -9.382 / -9.382 eV
What do you remember from your time at emylon?
emlyon, of course, you learn a lot of things there. I learnt a lot in the association life, I was president of the JE, and then also afterwards at the Corpo, but the experience was really something which developed me enormously in terms of leadership, which really gave me confidence in my capacity to act.
What is your best memory in emlyon?
Best memory at emlyon, there are many but how can I not talk about this one, I met my wife at emlyon, so if I have to say only one, it's that one.
A message for today's emlyon students?
If I had to share a message, it would be that of commitment and above all not to be afraid, I think that in fact, at the moment of embarking on a new adventure, whether it's a new job, a company, a partnership or anything else, we're always a little afraid that it's a choice that's there forever, in fact no, you always have to have confidence in your ability to bounce back, in your ability to change direction afterwards, and the main thing in all of this is finally to find a direction and take it.